Fission of U-235

Fission of U-235
Uranium-235 is a naturally radioactive element commonly used as fuel for nuclear fission in power plants.
Nuclear fission is the...
Nuclear power plants use nuclear reactors to release energy through the process of nuclear fission. This is the splitting of a nucleus. Don't confuse it with nuclear fusion, where two nuclei get fused together.
For nuclear fission to occur, we need a large and heavy nucleus. Which element do you think we most commonly use as fuel in nuclear fission?
We use different isotopes of uranium as fuel for nuclear fission. Specifically, we use U-238 and U-235. The numbers 238 and 235 refer to their atomic masses, so how are they different from each other?
The image shows the isotopes U-235 and U-238. How many protons do both isotopes have in their nucleus? You can find this number in the nuclide notation.

== Calculated molecules, kept here for reference ==
'''
Below is a gas-phase ion, C27H30N3 (charge +1) in a non-equilibrium geometry, with properties calculated with wB97M-V/def2-TZVPD.

Each line ends with the Löwdin charge.
CARTESIAN COORDINATES (ANGSTROEM)
C 2.830 -4.626 3.228  -0.049
C 2.196 -3.346 2.781  -0.277
C 1.096 -2.808 3.454  -0.016
C 0.505 -1.634 2.984  -0.046
C 0.962 -1.004 1.824  -0.161
C 0.211 0.245 1.334  -0.188
C -1.270 0.274 1.590  -0.091
C -2.007 1.440 1.822  -0.208
C -1.597 2.853 1.859  -0.005
N -3.325 1.117 1.983  -0.054
C -4.391 2.079 2.185  -0.003
C -3.493 -0.261 1.906  -0.157
C -4.647 -0.982 2.183  -0.009
C -4.522 -2.383 2.198  -0.076
C -3.272 -2.989 1.960  -0.076
C -2.127 -2.233 1.651  -0.040
C -2.206 -0.836 1.666  -0.128
N 0.552 0.575 -0.041  -0.023
C 1.549 1.480 -0.224  -0.012
C 2.005 1.812 -1.474  0.042
C 1.356 1.283 -2.616  -0.174
N 1.757 1.634 -3.882  -0.077
C 0.844 1.704 -5.015  -0.140
C 1.683 2.158 -6.232  -0.145
C 3.149 2.131 -5.783  -0.145
C 3.127 1.988 -4.243  -0.138
C 0.278 0.383 -2.387  0.052
C -0.074 0.004 -1.108  0.036
C 2.153 -1.465 1.238  -0.020
C 2.732 -2.654 1.692  -0.032
H 3.711 -4.819 2.613  0.076
H 3.149 -4.548 4.271  0.089
H 2.149 -5.480 3.143  0.090
H 0.669 -3.329 4.317  0.127
H -0.348 -1.204 3.512  0.127
H 0.635 1.059 1.937  0.144
H -0.521 2.940 2.024  0.078
H -1.836 3.412 0.943  0.101
H -2.107 3.374 2.676  0.087
H -5.304 1.511 2.353  0.077
H -4.215 2.706 3.068  0.099
H -4.543 2.743 1.320  0.106
H -5.579 -0.469 2.440  0.106
H -5.388 -3.006 2.432  0.106
H -3.183 -4.079 2.027  0.106
H -1.177 -2.701 1.387  0.108
H 1.965 1.922 0.683  0.153
H 2.811 2.536 -1.540  0.123
H 0.020 2.417 -4.831  0.133
H 0.383 0.724 -5.217  0.117
H 1.396 3.180 -6.510  0.113
H 1.508 1.501 -7.092  0.115
H 3.659 1.269 -6.230  0.114
H 3.677 3.042 -6.083  0.115
H 3.854 1.229 -3.913  0.132
H 3.423 2.941 -3.775  0.119
H -0.259 -0.069 -3.216  0.119
H -0.854 -0.737 -0.898  0.157
H 2.645 -0.915 0.433  0.107
H 3.606 -3.086 1.193  0.116

LUMO	-3.02	eV
charge	+1
2S+1	1
HOMO-LUMO gap	7.261	eV
structure (SMILES)	Cc1ccc([C@H](c2c(C)n(C)c3ccccc23)[n+]2ccc(N3CCCC3)cc2)cc1
HOMO level	-10.280	eV
E	-32951.203	eV

***

Below is a molecular structure, C5H11F3KNO8S2 in a non-equilibrium geometry, with properties calculated with wB97M-V/def2-TZVPD.

Each line ends with the Löwdin charge.
CARTESIAN COORDINATES (ANGSTROEM)
K 0.629 -1.756 -0.233  0.820
S 2.213 -4.469 1.420  0.075
O 2.211 -5.813 0.849  -0.462
O 3.152 -3.525 0.871  -0.440
O 0.862 -3.901 1.356  -0.571
O 2.620 -4.483 2.848  -0.482
C 5.376 1.158 0.372  -0.621
F 5.519 0.923 -0.950  0.090
F 6.519 0.935 1.044  0.100
F 5.107 2.480 0.550  0.069
S 4.009 0.017 1.093  0.548
O 2.806 -0.045 0.156  -0.477
O 4.619 -1.303 1.216  -0.318
O 3.730 0.563 2.461  -0.382
C -3.063 -1.225 -0.717  -0.029
C -2.368 0.158 -1.004  -0.448
C -3.305 1.365 -1.034  -0.185
O -2.584 2.615 -0.855  -0.209
C -3.403 3.768 -0.918  -0.106
N -1.332 0.358 -0.025  0.014
H -2.433 -2.114 -0.685  0.075
H -3.681 -1.342 -1.607  0.067
H -3.723 -1.108 0.142  0.077
H -1.901 0.161 -1.989  0.136
'''

So U-235 has 92 protons. If the atomic mass is the sum of the number of protons and the number of neutrons, how many neutrons does U-235 have in its nucleus?

How many neutrons does U-238 have in its nucleus?

Uranium is naturally radioactive because its nucleus is unstable.
It is the imbalance of protons and neutrons in its nucleus that makes it unstable. In the case of uranium there are too many neutrons compared to protons.

Where there are too few or too many neutrons in a nucleus, it is unstable. This means that it will decay and emit radiation.
In a nuclear reactor, a uranium-235 nucleus is struck by a neutron. When the neutron is absorbed into the nucleus, it becomes uranium-236. Now, the nucleus is...
The image shows the process of the nuclear fission of U-235 in a nuclear reactor. Particle A bombards the nucleus and is absorbed by it. What type of particle is A?

The neutron is absorbed by the U-235 nucleus making it violently unstable. This causes the nucleus to split. What does this release? What does should label C say in the diagram?

-- The page is interrupted by records of molecules --
=====
Density functional theory data (ωB97M-V with the def2-TZVPD basis set) for C44H50N8O3RbS4 as an isolated structure at a distorted geometry.

The charge is -1. For the maximum force, the calculation gives 1.22 eV Å⁻¹. The calculation puts the total energy at -3987.3299 Eh. The relative energy (zero: lowest compared OMol25 entry of this formula, charge and spin) is 21.4 kcal per mole. The HOMO energy is -3.14 eV. As for the lowest unoccupied orbital energy: 1.6 eV.

Each line ends with the Löwdin charge.
Atoms and positions in Å:
Rb  0.016  -1.185  -0.113  0.672
S  -1.209  2.102  -2.324  1.005
S  4.032  -1.383  -1.389  0.490
S  -1.235  -3.033  -3.248  0.985
S  2.340  -3.738  -0.511  0.399
O  -1.331  -2.106  -2.067  -0.722
O  0.422  3.134  -0.330  -0.022
O  -0.714  0.797  -1.781  -0.653
N  1.985  -1.339  2.577  0.123
N  2.664  2.983  -0.664  -0.117
N  -2.919  -1.481  0.739  0.094
N  -0.797  0.714  2.634  0.141
N  1.807  4.498  0.885  -0.130
N  6.250  -3.090  -3.834  0.109
N  -1.116  -2.129  2.898  -0.157
N  3.893  -6.426  -2.591  0.107
C  -1.914  -2.086  -4.647  -0.308
C  -5.005  -1.868  -0.372  -0.056
C  -1.281  0.191  3.761  -0.269
C  -1.908  -1.186  3.663  -0.131
C  -5.134  -3.089  0.272  -0.065
C  2.219  0.122  4.447  -0.043
C  2.038  -4.478  -4.991  -0.073
C  -2.427  1.665  -3.630  -0.296
C  1.685  -1.002  3.827  -0.290
C  4.101  -5.307  -2.387  -0.316
C  -4.119  3.653  0.824  -0.083
C  5.448  -3.448  -3.081  -0.331
C  0.776  -1.953  4.569  -0.114
C  -4.143  -3.485  1.149  -0.019
C  4.413  -3.925  -2.226  -0.448
C  -2.682  0.160  -3.697  -0.243
C  -3.883  -1.106  -0.100  -0.127
C  2.853  -0.587  1.898  -0.138
C  -2.429  2.086  0.127  -0.094
C  -4.026  4.302  -0.403  -0.088
C  3.433  0.553  2.438  -0.063
C  0.768  -4.319  -4.458  -0.099
C  -3.317  2.554  1.088  -0.061
C  -3.145  3.839  -1.367  -0.093
C  -1.924  -3.146  2.252  -0.152
C  -1.650  -0.582  -4.547  -0.228
C  2.958  -3.446  -4.890  -0.078
C  1.568  3.522  -0.080  -0.487
C  2.625  -2.268  -4.234  -0.096
C  -2.367  2.720  -1.099  -0.370
C  -0.205  2.695  3.839  -0.063
C  -3.038  -2.659  1.349  -0.267
C  -0.266  1.936  2.678  -0.111
C  -0.728  2.159  5.002  -0.067
C  3.968  3.618  -0.718  -0.050
C  -1.273  0.887  4.964  -0.040
C  1.368  -2.106  -3.670  -0.086
C  3.104  0.915  3.734  -0.082
C  0.440  -3.126  -3.826  -0.411
C  2.885  4.309  1.845  -0.062
C  -0.099  -2.826  3.686  -0.192
C  0.641  5.188  1.392  -0.055
C  3.638  -3.070  -1.415  -1.234
C  2.498  1.803  -1.481  -0.041
H  -1.680  0.427  5.856  0.111
H  3.192  1.015  -1.197  0.006
H  2.664  2.042  -2.537  0.105
H  -2.689  -0.267  -2.695  0.076
H  -1.252  -3.766  1.647  0.143
H  -2.008  2.042  -4.564  0.085
H  4.141  1.116  1.844  0.097
H  1.493  1.449  -1.352  0.044
H  -2.858  -1.042  3.148  0.119
H  3.535  1.799  4.191  0.102
H  -2.144  -1.562  4.673  0.129
H  -0.651  -0.408  -4.146  0.093
H  -2.987  -2.294  -4.675  0.084
H  1.410  -2.642  5.137  0.127
H  2.325  -5.423  -5.434  0.104
H  -5.751  -1.512  -1.069  0.102
=====

Energy is not the only product of this reaction. Two smaller nuclei are formed, and two or three neutrons are also emitted. These neutrons are released at very high speeds, so what type of energy do they store?

So each fission event can cause further fission events. We call this a chain reaction. What best describes how a chain reaction occurs?
A) The lighter nuclei that are formed split further. B) One or more of the emitted neutrons strike other U-235 nuclei. C) One or more of the emitted neutrons strike the lighter nuclei.
Answer A, B or C.

So fission is a form of radioactive decay where the nucleus splits into two or more parts.
When this happens naturally, it happens spontaneously and randomly. However, in a nuclear reactor it is induced by the bombardment of neutrons.

Misplaced data records:
Entry 1:
# C4H4O2

The molecule C4H4O2 (wB97M-V/def2-TZVPD, the Open Molecules 2025 dataset).

```
! wB97M-V def2-TZVPD RIJCOSX def2/J DEFGRID3
* xyz 0 1
O -2.18990 -0.44208 -1.80605
C -1.59673 -0.06883 -0.82418
C -0.72835 -0.94690 0.00541
C 0.25947 -0.35246 0.63383
C 1.18696 0.49929 1.00152
O 2.23201 0.87977 0.21799
H -1.60855 0.99016 -0.49598
H -0.87166 -2.02314 -0.05092
H 1.21919 0.96044 1.98296
H 2.09758 0.50374 -0.66459
*
```

The value obtained for the LUMO energy is 0.16 eV. The HOMO-LUMO gap comes out at 9.61 eV. Its SMILES is O=CC=C=CO. The value obtained for the HOMO energy is -9.458 eV. Its energy above the lowest of the compared OMol25 structures with the same formula, charge and spin is 170.83 kJ/mol.

natural (NBO) population analysis, charges in e, atoms 1 to 8: -0.511 0.402 -0.344 -0.019 0.085 -0.657 0.113 0.237

Entry 2:
# C3H8O3

A structure of composition C3H8O3 in a non-equilibrium geometry (wB97M-V/def2-TZVPD, the Open Molecules 2025 dataset).

```
! wB97M-V def2-TZVPD RIJCOSX def2/J DEFGRID3
* xyz 0 1
O 0.54400 -0.30698 1.51038
O -0.18429 0.50749 -0.49287
C -0.13157 0.75493 0.93305
C -0.03882 -1.47363 0.90699
C -0.29295 -0.88987 -0.50524
H 0.35139 1.75037 0.96936
H -1.17846 0.87620 1.27179
H -0.96006 -1.65024 1.49486
H 0.52509 -2.42554 0.87094
H -1.32666 -1.21614 -0.72984
H 0.35652 -1.23655 -1.33195
O 0.59259 1.79426 -1.98710
H 0.33683 1.24812 -1.20955
H 1.40638 2.26760 -1.70084
*
```

The value obtained for the LUMO energy is 0.74 eV. The HOMO-LUMO gap comes out at 10.44 eV. The value obtained for the HOMO energy is -9.705 eV. Its energy above the lowest of the compared OMol25 structures with the same formula, charge and spin is 324.06 kJ/mol.

natural (NBO) population analysis, charges in e, atoms 1 to 8: -0.509 -0.496 0.208 -0.100 -0.112 0.198 0.149 0.176

Entry 3:
# C20H32BrN5O2PS

The ion C20H32BrN5O2PS with charge +1 in a non-equilibrium geometry (wB97M-V/def2-TZVPD, the Open Molecules 2025 dataset).

```
! wB97M-V def2-TZVPD RIJCOSX def2/J DEFGRID3
* xyz 1 1
C -4.47266 1.52397 -1.34738
C -3.01899 1.63211 -1.85256
C -2.14154 0.59321 -1.16176
C -2.34519 -0.69848 -1.50644
N -1.66537 -1.70839 -0.95972
P -2.17531 -3.30833 -1.58329
N -1.35623 -3.74535 -2.82388
C -0.69691 -1.49852 -0.03164
C 0.09070 -2.62589 0.59985
Br -1.03448 -3.62868 1.87381
C 0.90689 -3.52292 -0.40072
C 0.69371 -5.03282 -0.31299
C -0.45815 -0.20498 0.36121
C 0.56897 0.12696 1.42911
C 2.01271 0.16668 0.89718
N 2.96014 0.28225 2.00605
C 3.59763 -1.00739 2.33219
C 2.74569 -1.74720 3.41346
C 3.89593 1.34608 1.75479
C 5.32579 1.10791 1.28439
O 3.51102 2.49261 1.89898
C -1.15496 0.87752 -0.20348
C -0.88221 2.30797 0.18346
C -2.11068 3.03841 0.80021
S -2.13371 4.83283 0.46959
C -1.96469 4.98285 -1.25512
N -2.86702 5.24155 -2.15255
N -2.28121 5.23128 -3.35981
C -1.02317 4.97195 -3.20194
O -0.78738 4.80912 -1.89812
H -4.53304 1.55147 -0.25411
H -4.90326 0.56492 -1.64635
H -5.08003 2.36054 -1.69653
H -2.60100 2.62580 -1.72127
H -3.01487 1.36326 -2.91389
The data records stop here:

The energy released in this process is used to heat water.
The water then drives turbines that turn a generator to produce electricity. This is how a nuclear reactor in a power station produces electricity.

An uncontrolled fission chain reaction can be tremendously dangerous! In fact, this is how atomic bombs work. How do you think the process is controlled in a nuclear reactor?
When the uranium nucleus splits it emits radiation. The symbol used for this type of radiation is γ. It is a wave, rather than a particle. What do we call this type of radiation?
The smaller nuclei which U-235 splits into, are referred to as the products of nuclear fission. They are typically unstable, radioactive isotopes of elements like barium, krypton or strontium. How do you think these products behave once they are formed?
So the products of nuclear fission are radioactive and therefore dangerous. That is why we take special care to contain and dispose of the waste products safely.